COVID-19 pandemic

Vaccine Phase 2 First Look

How to define eligibility for priority groups in Phase 2 of the state COVID-19 vaccination program was the subject of the regular weekly meeting of the Vaccine Sub-Committee at the RI Department of Health (DoH) on Friday, January 22. The goal is to have this clearly settled by the time Phase 2 is expected to begin in late March or early April.

RI COVID-19 vaccine Phase 1 progress (Source: RI DoH)

The supply of vaccine, currently about 14,000 doses per week, is not expected to increase for the foreseeable future, Alysia Mihalakos of DoH told the sub-committee. Phase 1 began in December with the most high-risk groups, frontline health care providers and nursing home residents and staff in Phase 1.1, moved on to frontline professionals in critical infrastructure such as firefighters and law enforcement in Phase 1.3, and will conclude with all persons 75 years of age or older in Phase 1.5.

RI COVID-19 vaccine Phase 2 proposal (Source: RI DoH)

The main challenge, according to meeting facilitator Mckenzie Morton, is to specify eligibility criteria that can be “operationalized,” meaning that the state can readily deploy resources in accordance to match and verify eligibility. As a result, the principal criterion proposed is age, which is known to correspond to risk of hospitalization and death, so that Phase 2 would begin with all persons age 65 or older. After that, all adults with medical conditions that put them at high risk would become immediately eligible, and other adults without such medical conditions become sequentially eligible by age strata 60-64, 50-59, 40-49, and finally 16-39.

COVID-19 hospitalization and death by age (Source: US CDC)

Calculated molecules that have nothing to do with the text:
┌──
38
Properties=species:S:1:pos:R:3 method="wB97M-V/def2-TZVPD" e_tot_ha=-1737.7914 lumo_energy_ev=-3.17 e_homo_ev=-11.0 e_above_lowest_kcal_mol=16.60 charge=+1 spin_multiplicity=1 homo_lumo_gap_ha=0.2866
Ir 0.331 -0.628 -0.840
S 2.712 2.949 0.172
C 1.484 3.439 -0.911
C 0.647 2.430 -1.289
C 1.004 1.198 -0.676
C 2.112 1.339 0.147
C 2.598 0.133 0.756
C 3.695 -0.061 1.594
C 3.987 -1.327 2.052
C 3.182 -2.403 1.680
C 2.107 -2.174 0.858
N 1.820 -0.935 0.414
H 1.440 4.471 -1.223
H -0.177 2.568 -1.973
H 4.304 0.790 1.866
H 4.843 -1.486 2.694
H 3.390 -3.408 2.016
H 1.453 -2.964 0.517
C -5.224 1.297 -0.553
C -4.707 -0.120 -0.292
C -3.352 -0.116 0.334
N -2.262 -0.376 -0.291
N -1.147 -0.261 0.521
C -1.405 0.128 1.740
N -0.456 0.330 2.667
S -3.098 0.321 2.010
H -6.152 1.254 -1.120
H -4.500 1.876 -1.127
H -5.425 1.827 0.378
H -4.625 -0.683 -1.220
H -5.396 -0.657 0.362
H 0.511 0.301 2.391
H -0.683 0.653 3.589
C 1.430 -1.941 -3.501
O 0.801 -1.831 -2.239
H 2.446 -2.325 -3.390
H 1.460 -0.975 -4.006
H 0.851 -2.638 -4.106

----------

Below is a gas-phase ion, C2H6O3P (charge -1) at a distorted geometry, with properties calculated with ωB97M-V/def2-TZVPD.

Calculated values
energy relative to the best compared isomer or geometry (same formula, charge and spin): 122.38 kJ/mol
strongest force on any atom: 3.58 eV/A
2S+1: 1
total charge: -1
E_HOMO: -4.29 eV

Each atom is followed by the atoms it is bonded to, with distances in Å.
Cartesian coordinates (Å):
1 C -1.04 0.89 0.52  C2 1.482, H7 1.110, H8 1.130, H9 1.141
2 C 0.37 0.57 0.17  C1 1.482, O5 1.463, P6 2.056, H10 1.150
3 O 1.76 -1.49 -1.50  P6 1.466
4 O -0.61 -0.81 -2.19  P6 1.494
5 O 1.03 0.09 1.39  C2 1.463, H11 0.982
6 P 0.43 -1.01 -1.14  C2 2.056, O3 1.466, O4 1.494, H12 1.496
7 H -1.53 0.05 1.05  C1 1.110
8 H -1.06 1.89 1.07  C1 1.130
9 H -1.74 0.95 -0.38  C1 1.141
10 H 1.00 1.39 -0.34  C2 1.150
11 H 1.35 -0.82 1.22  O5 0.982
12 H 0.03 -1.71 0.12  P6 1.496

----------

Entry 1:
Density functional theory data (ωB97M-V/def2-TZVPD) for a 2-piece molecular cluster, NO5S overall in a non-equilibrium geometry.

HOMO-LUMO gap (spin up / spin down)   0.2273 / 0.1118 Ha
HOMO energy (spin up / spin down)   -0.1618 / -0.0982 Eh
Charge   -1

Each line ends with the natural charge from an NBO analysis.
Geometry (Å):
1 O -2.115307 0.943162 -0.406606  -0.8489
2 O 2.142855 -1.195197 -0.220006  -0.4881
3 O 2.746728 -0.693316 -2.245895  -0.4990
4 O -1.296270 1.967973 1.730685  -0.8578
5 O -1.930114 -0.494800 1.643742  -0.8465
6 S -1.570514 0.770561 0.952691  2.2447
7 N 2.022622 -1.298384 -1.454611  0.2956

Forces on atoms 1 to 6 (eV/Å):
1.057 -0.161 1.850
0.265 0.306 -0.914
0.062 -0.037 0.643
0.050 -1.026 -0.477
0.930 2.348 -1.004
-1.962 -1.248 -0.404

Entry 2:
Density functional theory data (ωB97M-V/def2-TZVPD) for NaO4S as an isolated structure in a non-equilibrium geometry.

HOMO-LUMO gap (spin up / spin down)   0.3123 / 0.2480 Ha
<S²>   0.763
Multiplicity   2
HOMO energy (spin up / spin down)   -0.3671 / -0.3562 Eh
└──
So much for the calculated molecules:

No vaccine is yet approved by the US Food and Drug Administration (FDA) for persons younger than 16 because clinical trials are still in progress, so there is as yet no data on safety and efficacy. As of last week, a national trial had recruited 800 of a needed 3,000 volunteer test subjects ages 12 to 17.

Social Vulnerability Index (SVI) by census tract, more vulnerable is darker, centered on Central Falls (Source: US CDC)

Although age can be checked with commonly available identity documents, geography is also known to correlate with greater risk of infection, and the proposal is to prioritize in part using the Social Vulnerability Index (SVI) published by the US Centers for Disease Control and Prevention (CDC) that measures “potential negative effects on communities caused by external stresses on human health” with census tract granularity. Exactly how “geography” would be defined for vaccination was not discussed, leaving open such questions as, for example, how a teacher who works in Central Falls and lives in Exeter would be classified.

US CDC risk factors for hospitalization (Source: RI DoH)

Although the CDC lists medical conditions known to be associated with increased risk of hospitalization and death from COVID-19, several sub-committee members pointed out problems with the CDC list. Relatively rare conditions, such as amyotrophic lateral sclerosis (ALS), which is commonly called Lou Gehrig’s disease, and Ehlers–Danlos syndrome, probably did not make the list only because of their rarity. It was observed that other conditions on the CDC list may be secondary in risk, such as Down syndrome that is often correlated with heart disease that is also on the CDC list. It was also suggested that substance abuse disorders can result in severe alcohol disease such as cirrhosis, which would put a patient at high risk, but this is not on the CDC list although a history of smoking is on the list. Mental health disorders can result in patients being unable to access reliable physical health care, putting them at higher risk from COVID-19 and also presenting difficulties in making sure they receive a required second dose of vaccine after the first.

RI COVID-19 risk factors for hospitalization (Source: RI DoH)

Some conditions listed as high-risk by the CDC are so common that they provide little help in prioritizing vaccination, such as high blood pressure, high cholesterol, and obesity that each affect over 30% of the entire population of RI. Nor are such conditions grossly disproportionately reflected in hospital admissions: obesity is present in 25% of hospital admissions for COVID-19 in RI, less than its 30% prevalence. As a result, the proposal focuses on four specific conditions of known prevalence that account for a disproportionate number of hospital admissions in RI at least triple their prevalence: renal disease (22% of admissions, 2%/20,000 prevalence), cardiac disease (30% of admissions, 4%/34,000 prevalence), lung disease (19% of admissions, 7%/59,000 prevalence), and diabetes (30% of admissions, 10%/89,000 prevalence). The proposal also includes those who are immuno-compromised, either because of another medical condition such as HIV positivity or because they are on suppressive drugs as would be the case for organ transplant recipients, accounting for 9% of admissions but of unknown prevalence. (Some patients have more than one condition.)

While there was some concern about people claiming to have high-risk conditions due to anxiety to be vaccinated, DoH Director Nicole Alexander-Scott said that her preference was to follow a “self-attestation” model, essentially putting people on the honor system, especially because the eventual goal is to vaccinate everybody. If there are too many barriers requiring proof of eligibility, the concern is not only would this discourage people in legitimate medical need, but would likely disproportionately discourage the most vulnerable who may not even have a primary care practitioner (PCP).

RI COVID-19 vaccine Phase 2 principles (Source: RI DoH)

Consistent with the frequently emphasized goal of equity, several members of the sub-committee raised the concern that COVID-19 has radically disparate effects by race and ethnicity, citing as an example a study that showed infected Black patients in their 50s have a risk of death comparable to those in their 70s among the general population. Rather than take race into account explicitly, the proposal intends the combination of geography and medical conditions to subsume race, as these factors are believed to be significant likely causes of racial disparity in health outcomes.

The proposal avoids distinguishing by occupation in Phase 2, which would be operationally difficult as well as requiring selections among, for example, teachers and grocery store workers, effectively putting different occupations in competition with each other for vaccine. Alexander-Scott said that more than half of teachers would qualify based upon age and medical condition alone, even before taking geography into account, reducing the need to prioritize teachers specifically. Jonathan Brice, a school superintendent representing educational interests, said that he would prioritize teachers who work with students unable practice mask wearing and physical distancing, either because they are very young, in his example kindergarten through second grade, or because they have special needs. It is possible that the federal government may make additional vaccine supply available and earmark it for specific groups such as teachers, Mihalakos said, but at this point there is nothing definite.

One of the main advantages to the proposed structure for Phase 2 is that it would allow communicating to the public approximately when any given adult could expect to be vaccinated, based upon the known supply of doses, one of the most frequently asked questions to DoH, Mihalakos said. If the supply increased, as is expected from additional vaccines being authorized by the FDA and greater production of vaccines already approved, it would be simple to recalculate the improved time estimate.

RI COVID-19 vaccine Phases 1 to 3 overview (Source: RI DoH)

The final Phase 3 would cover children younger than 16 and all others not previously vaccinated.